• Excerpt:
'''
Run 1
Density functional theory data (PBE with a Hubbard U) for crystalline ThV2PbO8 at its relaxed geometry.

Lattice parameters (Å, degrees): 7.043 7.043 7.043 136.10 136.10 63.82
Atoms (fractional coordinates):
1 O 0.071 0.180 0.396
2 O 0.785 0.676 0.604
3 O 0.919 0.784 0.370
4 O 0.216 0.586 0.135
5 O 0.414 0.549 0.630
6 O 0.324 0.929 0.109
7 O 0.451 0.081 0.865
8 O 0.820 0.215 0.891
9 Pb 0.750 0.250 0.500
10 V 0.000 0.000 0.000
11 V 0.250 0.750 0.500
12 Th 0.500 0.500 0.000

Computed properties:
- crystal system = tetragonal

---

Run 2
Density functional theory data (PBE with a Hubbard U) for crystalline ThV2PbO8 at its relaxed geometry.

Lattice parameters (Å, degrees): 6.261 6.261 6.261 106.08 106.08 116.50
Atoms (fractional coordinates):
1 Th 0.250 0.750 0.500
2 V 0.500 0.500 0.000
3 V 0.750 0.250 0.500
4 O 0.846 0.659 0.187
5 O 0.472 0.659 0.813
6 O 0.929 0.600 0.671
7 O 0.929 0.257 0.329
8 O 0.341 0.528 0.187
9 O 0.400 0.071 0.329
10 O 0.341 0.154 0.813
11 O 0.743 0.071 0.671
12 Pb 0.000 0.000 0.000

Computed properties:
- crystal system = tetragonal

---

Relative energies in meV/atom: run 1 28; run 2 0

---

Run 1
Density functional theory data (PBE with a Hubbard U) for crystalline V2PbO6 at its relaxed geometry.

Lattice parameters (Å, degrees): 3.714 8.337 9.673 108.45 90.00 102.87
Atoms (fractional coordinates):
1 O 0.348 0.696 0.979
2 O 0.489 0.978 0.818
3 O 0.102 0.204 0.464
4 O 0.652 0.304 0.021
5 O 0.272 0.544 0.648
6 O 0.728 0.456 0.352
7 O 0.107 0.215 0.793
8 O 0.511 0.022 0.182
9 O 0.893 0.785 0.207
10 O 0.338 0.675 0.304
11 O 0.898 0.796 0.536
12 O 0.662 0.325 0.696
13 Pb 0.125 0.250 0.228
14 Pb 0.875 0.750 0.772
15 V 0.402 0.804 0.158
16 V 0.835 0.670 0.361
17 V 0.165 0.330 0.639
18 V 0.598 0.196 0.842

Computed properties:
- crystal system = monoclinic

---

Run 2
Density functional theory data (PBE with a Hubbard U) for crystalline V2PbO6 at its relaxed geometry.

Lattice parameters (Å, degrees): 8.258 8.258 9.082 90.00 90.00 118.12
Atoms (fractional coordinates):
1 O 0.189 0.343 0.420
2 O 0.115 0.217 0.784
3 O 0.217 0.115 0.216
4 O 0.620 0.890 0.874
5 O 0.166 0.665 0.327
6 O 0.380 0.110 0.874
7 O 0.783 0.885 0.216
8 O 0.500 0.500 0.219
9 O 0.500 0.500 0.781
10 O 0.665 0.166 0.673
11 O 0.343 0.189 0.580
12 O 0.885 0.783 0.784
13 O 0.110 0.380 0.126
14 O 0.657 0.811 0.580
15 O 0.834 0.335 0.327
16 O 0.890 0.620 0.126
17 O 0.335 0.834 0.673
18 O 0.811 0.657 0.420
19 V 0.000 0.500 0.223
20 V 0.335 0.263 0.750
21 V 0.665 0.737 0.750
22 V 0.500 0.000 0.777
23 V 0.263 0.335 0.250
24 V 0.737 0.665 0.250
25 Pb 0.864 0.136 0.500
26 Pb 0.000 0.000 0.000
27 Pb 0.136 0.864 0.500

Computed properties:
- crystal system = orthorhombic

---

Relative energies in meV/atom: run 1 0; run 2 103

---

Run 1
Density functional theory data (PBE with a Hubbard U) for crystalline V6PbO11 at its relaxed geometry.

Lattice parameters (Å, degrees): 5.937 5.937 13.583 90.00 90.00 120.00
Atoms (fractional coordinates):
1 V 0.000 0.000 0.146
2 V 0.997 0.498 0.996
3 V 0.667 0.333 0.255
4 V 0.000 0.000 0.852
5 V 0.333 0.667 0.755
6 V 0.498 0.502 0.496
7 V 0.003 0.502 0.496
8 V 0.502 0.498 0.996
9 V 0.000 0.000 0.646
10 V 0.498 0.997 0.496
11 V 0.000 0.000 0.352
12 V 0.502 0.003 0.996
13 O 0.667 0.333 0.079
14 O 0.852 0.704 0.249
15 O 0.333 0.667 0.579
16 O 0.148 0.296 0.749
17 O 0.170 0.830 0.424
18 O 0.340 0.170 0.924
19 O 0.354 0.177 0.578
20 O 0.704 0.852 0.749
21 O 0.296 0.148 0.249
22 O 0.660 0.830 0.424
23 O 0.830 0.660 0.924
24 O 0.823 0.646 0.578
25 O 0.170 0.340 0.424
26 O 0.823 0.177 0.578
27 O 0.646 0.823 0.078
28 O 0.667 0.333 0.415
29 O 0.830 0.170 0.924
30 O 0.148 0.852 0.749
31 O 0.177 0.823 0.078
32 O 0.333 0.667 0.915
33 O 0.852 0.148 0.249
34 O 0.177 0.354 0.078
35 Pb 0.333 0.667 0.221
36 Pb 0.667 0.333 0.721

Computed properties:
- crystal system = hexagonal

---

Run 2
Density functional theory data (PBE with a Hubbard U) for crystalline V6PbO11 at its relaxed geometry.
'''

• What to do:
Your job: restate the whole of the lines above word for word.

• Completed:
Run 1
Density functional theory data (PBE with a Hubbard U) for crystalline ThV2PbO8 at its relaxed geometry.

Lattice parameters (Å, degrees): 7.043 7.043 7.043 136.10 136.10 63.82
Atoms (fractional coordinates):
1 O 0.071 0.180 0.396
2 O 0.785 0.676 0.604
3 O 0.919 0.784 0.370
4 O 0.216 0.586 0.135
5 O 0.414 0.549 0.630
6 O 0.324 0.929 0.109
7 O 0.451 0.081 0.865
8 O 0.820 0.215 0.891
9 Pb 0.750 0.250 0.500
10 V 0.000 0.000 0.000
11 V 0.250 0.750 0.500
12 Th 0.500 0.500 0.000

Computed properties:
- crystal system = tetragonal

---

Run 2
Density functional theory data (PBE with a Hubbard U) for crystalline ThV2PbO8 at its relaxed geometry.

Lattice parameters (Å, degrees): 6.261 6.261 6.261 106.08 106.08 116.50
Atoms (fractional coordinates):
1 Th 0.250 0.750 0.500
2 V 0.500 0.500 0.000
3 V 0.750 0.250 0.500
4 O 0.846 0.659 0.187
5 O 0.472 0.659 0.813
6 O 0.929 0.600 0.671
7 O 0.929 0.257 0.329
8 O 0.341 0.528 0.187
9 O 0.400 0.071 0.329
10 O 0.341 0.154 0.813
11 O 0.743 0.071 0.671
12 Pb 0.000 0.000 0.000

Computed properties:
- crystal system = tetragonal

---

Relative energies in meV/atom: run 1 28; run 2 0

---

Run 1
Density functional theory data (PBE with a Hubbard U) for crystalline V2PbO6 at its relaxed geometry.

Lattice parameters (Å, degrees): 3.714 8.337 9.673 108.45 90.00 102.87
Atoms (fractional coordinates):
1 O 0.348 0.696 0.979
2 O 0.489 0.978 0.818
3 O 0.102 0.204 0.464
4 O 0.652 0.304 0.021
5 O 0.272 0.544 0.648
6 O 0.728 0.456 0.352
7 O 0.107 0.215 0.793
8 O 0.511 0.022 0.182
9 O 0.893 0.785 0.207
10 O 0.338 0.675 0.304
11 O 0.898 0.796 0.536
12 O 0.662 0.325 0.696
13 Pb 0.125 0.250 0.228
14 Pb 0.875 0.750 0.772
15 V 0.402 0.804 0.158
16 V 0.835 0.670 0.361
17 V 0.165 0.330 0.639
18 V 0.598 0.196 0.842

Computed properties:
- crystal system = monoclinic

---

Run 2
Density functional theory data (PBE with a Hubbard U) for crystalline V2PbO6 at its relaxed geometry.

Lattice parameters (Å, degrees): 8.258 8.258 9.082 90.00 90.00 118.12
Atoms (fractional coordinates):
1 O 0.189 0.343 0.420
2 O 0.115 0.217 0.784
3 O 0.217 0.115 0.216
4 O 0.620 0.890 0.874
5 O 0.166 0.665 0.327
6 O 0.380 0.110 0.874
7 O 0.783 0.885 0.216
8 O 0.500 0.500 0.219
9 O 0.500 0.500 0.781
10 O 0.665 0.166 0.673
11 O 0.343 0.189 0.580
12 O 0.885 0.783 0.784
13 O 0.110 0.380 0.126
14 O 0.657 0.811 0.580
15 O 0.834 0.335 0.327
16 O 0.890 0.620 0.126
17 O 0.335 0.834 0.673
18 O 0.811 0.657 0.420
19 V 0.000 0.500 0.223
20 V 0.335 0.263 0.750
21 V 0.665 0.737 0.750
22 V 0.500 0.000 0.777
23 V 0.263 0.335 0.250
24 V 0.737 0.665 0.250
25 Pb 0.864 0.136 0.500
26 Pb 0.000 0.000 0.000
27 Pb 0.136 0.864 0.500

Computed properties:
- crystal system = orthorhombic

---

Relative energies in meV/atom: run 1 0; run 2 103

---

Run 1
Density functional theory data (PBE with a Hubbard U) for crystalline V6PbO11 at its relaxed geometry.

Lattice parameters (Å, degrees): 5.937 5.937 13.583 90.00 90.00 120.00
Atoms (fractional coordinates):
1 V 0.000 0.000 0.146
2 V 0.997 0.498 0.996
3 V 0.667 0.333 0.255
4 V 0.000 0.000 0.852
5 V 0.333 0.667 0.755
6 V 0.498 0.502 0.496
7 V 0.003 0.502 0.496
8 V 0.502 0.498 0.996
9 V 0.000 0.000 0.646
10 V 0.498 0.997 0.496
11 V 0.000 0.000 0.352
12 V 0.502 0.003 0.996
13 O 0.667 0.333 0.079
14 O 0.852 0.704 0.249
15 O 0.333 0.667 0.579
16 O 0.148 0.296 0.749
17 O 0.170 0.830 0.424
18 O 0.340 0.170 0.924
19 O 0.354 0.177 0.578
20 O 0.704 0.852 0.749
21 O 0.296 0.148 0.249
22 O 0.660 0.830 0.424
23 O 0.830 0.660 0.924
24 O 0.823 0.646 0.578
25 O 0.170 0.340 0.424
26 O 0.823 0.177 0.578
27 O 0.646 0.823 0.078
28 O 0.667 0.333 0.415
29 O 0.830 0.170 0.924
30 O 0.148 0.852 0.749
31 O 0.177 0.823 0.078
32 O 0.333 0.667 0.915
33 O 0.852 0.148 0.249
34 O 0.177 0.354 0.078
35 Pb 0.333 0.667 0.221
36 Pb 0.667 0.333 0.721

Computed properties:
- crystal system = hexagonal

---

Run 2
Density functional theory data (PBE with a Hubbard U) for crystalline V6PbO11 at its relaxed geometry.